Draft Schools Forum Minutes 12 March 2020
Jo Budge – Executive Head Teacher of REYS Federation, Julia Cottee – Governor at REYS Federation, Justine McMinn – Head Teacher of E P Collier, Cathy Doberska – Head Teacher of English Martyrs, Sarah Bernto – Head Teacher of St Annes, Peter Kayes – Governor at the Ridgeway (Chair), Richard Rolfe – Governor at Micklands, Dani Hall – Governor at Oxford Road, Karen Edwards – Head Teacher of The Heights, Jane Brown – Business Manager of Churchend School, Isabelle Sandy – Business Manager of Kendrick, Symon Cooke – Head Teacher of The Avenue, Ita McGullion – Manager of Kennet Day Nursery, Mark Hester – Business Manager of Cranbury College,
Robert Howell – Head Teacher of Alfred Sutton, Tonia Crossman – Head Teacher of Emmer Green, Simon Utley – Head Teacher of Blessed Hugh Faringdon, David Littlemore – Head Teacher of Prospect, Rachel Cave – Head Teacher of Highdown, Annal Nayyar – Finance Director of Bayliss Trust (Reading Girls), Lee Smith – Head Teacher of Holy Brook, Ali McNamara – NEU, Ben Sims – Reading College.
Kate Reynolds – Director of Education, Steven Davies – Strategic Business Partner.
In attendance
## Calculated molecules, as found in the file
Entry 1:
Computed, not measured: C29H39Cl2F4N8NaS2 as an isolated structure, with the ωB97M-V functional and the def2-TZVPD basis.

Relative energy (zero: lowest compared OMol25 entry of this formula, charge and spin) = 1.044 eV
Kohn-Sham gap = 5.365 eV

Atoms and positions in Å:
1 Na 0.5706 0.3642 -0.3344
2 C -0.3755 2.0569 3.9567
3 N -0.2309 0.9212 3.0672
4 C -1.5153 0.2892 2.8389
5 C 0.7530 -0.0252 3.5768
6 C 1.2927 -0.9777 2.5024
7 N 1.8154 -0.2954 1.3339
8 C 3.0400 0.2068 1.3497
9 C 3.4500 0.9580 0.2093
10 F 2.5297 1.0804 -0.8029
11 C 4.6591 1.5829 0.0779
12 F 4.9019 2.3047 -1.0340
13 C 5.6329 1.4870 1.0564
14 C 5.2941 0.7475 2.1768
15 F 6.2070 0.6224 3.1563
16 C 4.0689 0.1434 2.3396
17 F 3.8560 -0.5117 3.5130
18 H -0.7668 1.7719 4.9490
19 H -1.0610 2.7850 3.5156
20 H 0.5917 2.5398 4.0956
21 H -1.9670 -0.0875 3.7748
22 H -1.4034 -0.5492 2.1488
23 H -2.2066 1.0103 2.3962
24 H 0.3276 -0.6211 4.4059
25 H 1.5969 0.5416 3.9740
26 H 0.4853 -1.6264 2.1711
27 H 2.0274 -1.6230 2.9925
28 H 6.5973 1.9598 0.9579
29 Cl 0.3733 3.0273 0.3905
30 C -1.2523 3.5041 -0.1018
31 Cl -2.1215 2.1269 -0.7890
32 H -1.1747 4.2732 -0.8607
33 H -1.7952 3.8550 0.7677
34 S -0.9198 -3.2750 0.3734
35 C -2.4743 -3.2481 -0.1742
36 N -3.5092 -3.8382 0.4657
37 C -4.7906 -3.9412 -0.2054
38 C -4.5384 -4.2517 -1.6626
39 N -3.7395 -3.1755 -2.2255
40 C -4.0380 -2.8032 -3.6020
41 C -5.3538 -2.0701 -3.7165
42 C -5.5409 -0.8613 -3.0494
43 C -6.7491 -0.1893 -3.1421
44 C -7.7843 -0.7158 -3.9041
45 C -7.6034 -1.9151 -4.5745
46 C -6.3941 -2.5904 -4.4763
47 C -2.7746 -2.5964 -1.4855
48 S -1.9721 -1.2331 -1.9845
49 C -3.4271 -4.3203 1.8399
50 C -3.4106 -5.8278 1.9282
51 C -2.2643 -6.5455 1.5943
52 C -2.2586 -7.9296 1.6686
53 C -3.3970 -8.6160 2.0700
54 C -4.5391 -7.9077 2.4091
55 C -4.5432 -6.5216 2.3397
56 H -5.3555 -3.0046 -0.1250
57 H -5.3680 -4.7410 0.2563
58 H -5.4852 -4.2923 -2.2003
59 H -4.0258 -5.2139 -1.7690
60 H -4.0711 -3.7192 -4.1977
61 H -3.2210 -2.1796 -3.9565
62 H -4.7292 -0.4478 -2.4627
63 H -6.8821 0.7528 -2.6258
64 H -8.7285 -0.1916 -3.9755
65 H -8.4028 -2.3265 -5.1773
66 H -6.2596 -3.5293 -5.0023
67 H -4.2937 -3.9310 2.3810
68 H -2.5220 -3.8996 2.2721
69 H -1.3728 -6.0139 1.2873
70 H -1.3580 -8.4742 1.4153
71 H -3.3881 -9.6966 2.1283
72 H -5.4293 -8.4346 2.7284
73 H -5.4344 -5.9754 2.6311
74 N 0.7619 0.3538 -3.6360
75 N 0.3859 1.6090 -3.0464
76 H 0.4037 0.2636 -4.5798
77 H 0.3779 -0.4019 -3.0819
78 H -0.5091 1.9335 -3.3975
79 H 1.0893 2.2796 -3.3266
80 N 1.5025 -3.3300 -2.3787
81 N 1.7210 -2.0700 -1.7415
82 H 2.3699 -3.8343 -2.5252
83 H 1.0934 -3.1544 -3.2854
84 H 2.5285 -1.5826 -2.1186
85 H 1.8950 -2.2481 -0.7596

---

Entry 2:
Computed, not measured: an isolated ion of composition C5H14N2P and charge +1, with the ωB97M-V functional and the def2-TZVPD basis.

SMILES = C[NH2+][C@H]1CN1P(C)C
Relative energy (zero: lowest compared OMol25 entry of this formula, charge and spin) = 2.018 eV
Kohn-Sham gap = 9.086 eV
Charge = +1

Atoms and positions in Å:
1 C 0.4627 1.2415 0.7143
## The calculated molecules stop here
Cllr Ashley Pearce – Lead Member for Education, Claire White – Schools & DSG Business Partner, Corinne Dishington, Under Fives Service Manager, Clare Warren – School Support Lead, Deborah Talbot – Minute Taker.
Item 1 – Welcome and apologies
The Chair welcomed everyone to the meeting including new members. Introductions were made.
Apologies were noted.
Item 2 – Minutes of the meeting held on January 16, 2020
Minutes were circulated and agreed from 16 January 2020
Matters arising:
- Actions vacant posts – thanks to all.
- Clarification of Teacher pay and pension grant for 2021 to all schools circulated
Item 3 – Schools’ Forum Membership Update – confirmation of representation
There are no vacancies.
For those new members we elect a chair and a vice chair, and each post is for two years, currently alternating; there should always be a chair while the new person gets elected.
Item 4 – DSG Budget Monitoring 2019/20 Month 11
Claire White Presented
The report highlights the latest budget position for month 11, 19/20. Actual DSG allocation for the current year is the same as previously reported, the only thing to note is that the early years block allocation is based on the early years draft census figures for January 2020 and there will likely be minor amendments. Change in funding will likely be in the region of £20,000 to £30,000
Actual expenditure is noted on page 14, table 2 which sets out the current overspend standing at £2.1m, £480k more than originally estimated. In January there was a higher overspend on top up payments forecast and this estimate has come down significantly. There was an error in our top up formula for one child and during the year we have been forecasting worst case scenario. The table at bottom of page 14 shows the main variances.
Reminder that during the Autumn the Government carried out a consultation which was published in January 2020, which means that from the end of this financial year (2019/2020) DSG deficits must be carried forward and LAs are not liable to fund any part of that deficit. It is no longer the case that LAs must keep reserves in place for this. Schools’ Forum will no longer be required to approve the carry forward of the deficit although the LA will still work closely with the Forum and the arrangements to pay back the deficit.
Reasons for the Early Years Block variances are on page 16 showing a comparison to our original forecast. Numbers of children have gone up requiring over half of our contingency of £700,000 to be used in payments to providers.
High needs block on page 17 (table 3), January 2020 figure of EHCPs still increasing, by 115 since January the previous year. £417,000 over our budget. Table shows where the increases and reductions are, the main increase is other alternative which is mainly temporary placements prior to pupils being placed in the longer-term placements. Overspend of £30,000 on NHS contract as the original budget did not include all academies, that has now been rectified. Inclusion fund for schools with disproportionate number of pupils with EHCPs is likely to be an overspend by £40,000
The impact on the deficit recovery plan is an increase to the overall deficit by £380,000 in year, plus £306,000 funding removed from the underspend in the early years block, taking the total deficit forecast at the end of 2019/20 to £2.477m.
Report is noted for the current situation and current pressures are also noted.
Appendices – a question was raised asking if it is true that the funding for all the DSG blocks includes funding for academies which is then reversed out leaving a net allocation for the maintained schools. We receive a gross DSG allocation, and funding is then top sliced for mainstream academies formula funding and high needs place funding in academies. All other DSG funding includes funding for academies.
Item 5 – Early Years Budget 2020/21 – Schools/DSG Business Partner
Claire White presented the paper outlining the proposal for setting the early year block budget for 2020/21.
The Early Years National Funding Formula (EYNFF) requires all settings whether they are a school or nursery or PVI to be funded on the same basis and at the same funding rate.
Because actual early years block funding is based on future census data, assumptions need to be made in setting the budget. Draft 2020 January census data is being used assuming there will be little variation between 2020 and 2021, and any significant variation will incur a funding adjustment at the end of the year. This year there has been very little difference.
The funding rate universally has gone up by 8p for 2, 3 and 4 year olds, and the Reading rates are now £5.22 for 3 and 4 year olds and 5.82 for 2 year olds. No increase to pupil premium which remains at 53p per hour and disability access fund at £615 per eligible child. Table 1 shows we are estimating £12.6 million funding available. The official notification on the DfE website is still using January 2019 data.
Maintained nursery schools – we will continue to receive the supplementary funding for the full financial year which protects those nursery schools at 2016 rates.
It is estimated that there will be an underspend of £471k carried forward from 2019/20 so total funding we will be receiving will be just over £13.1million.
Due to volatility of funding, there needs to be caution when setting the funding rate for the following year; should the funding be less than we have budgeted for then the only way we could resolve that is to reduce the hourly rate in the following year, and we don’t want to be in that situation. It is therefore prudent to keep back a contingency.
Using the total hours claimed for the previous year, we propose an increase to the hourly rate of 8p and increase 50p on to the deprivation rate to increase this to 97p so £1.50 being received in total for children eligible for the pupil premium. Table 2-page 28 shows the calculation of the budget.
Maintained nursery supplementary funding received will be passed on in full to the nursery schools which is at £1.08 per hour – the total will increase slightly in 2020/21.
A proposal was put forward to replicate what some other local authorities are doing, for example Hampshire, in top slicing the supplementary funding to pay in full the nursery school business rates, with the balance then allocated using a lower hourly rate. An illustration was set out in Table 3, page 29.
Jo Budge asked why were heads not asked initially and feels this was unprofessional. Claire White stated that this is what was requested. This was the only choice in paying for business rates, as the only source of funding was the supplementary funding. It was up to the nursery schools how they would like this fund to be allocated. Jo Budge felt that to use this grant to pay rates is an immoral thing to do and has no impact on the children. A paper was circulated about the scheme from Hampshire, but this is still using the supplementary fund, there is no other source of funding. Their supplementary grant is significantly higher for a lower number of children in nurseries – £1.6 million for 3 schools with 324 children. So they can be more flexible with how it is distributed. DfE guidance say maintained nursery schools can be paid a lump sum from their local Authority, which is how the supplementary funding is being distributed. Jo Budge said it’s frustrating as they are being told two different versions from two different sources. However, all other providers have the same issues with payment of business rates.
There were concerns that this was a change with no consideration, and no one came to talk to the head teachers about it. This was noted and would be considered next time. Decided to stick to the £1.08 supplement and no adjustment for actual business rates. Jo was thanked for sharing concerns, but we do have to adhere to regulations.
Ita Mcgullion asked why we carry over a large amount of funding that is never used. The contingency originated from when the additional 15 hours came in; there was a slow take up from the September, but we were funded on the actual numbers in the following January, so this money has been kept in early years as a contingency. Although ideally when money comes in for one year it should be spent in that year, the unpredictability of the funding does not allow for this. Need to agree an acceptable contingency. Claire White has suggested 2.5% of total estimated funding. Of the predicted carry forward of £471,000, there are still final payments to go through, and £100,000 will be used for deprivation in 2020/21. Proposing a contingency of £366,000 and this will probably decrease once we have the actual carry forward. Slightly higher than 2.5% but there is more to come out.
Need to manage the risk, as we would end up overspending if we have more children to fund than we have had in the previous year. We started off the current year with £702,000 in contingency but half of this has had to be used for provider payments. Money is not being taken away from early years it will stay with them. Corinne Dishington said we do have an idea of our birth rate and the 0-5 population has decreased since 2016. It is envisaged the population will rise again. We do get live birth data, but it depends on take up as well. Corinne explained the methods behind it. It’s complicated and not very robust and very difficult to calculate how the estimate is arrived at. The Actual from last year is used as a base for next year. It was asked what the accuracy and track record is like compared to our estimated figures. Cllr Pearce said it’s quite good and we are in the top 10%. Quite hard as there will be no census in the future.
SEN inclusion fund – there were some issues with the usage of the money and maintained nursery heads and the EP service who maintain the inclusion fund have updated the terms of spend to make sure we are providing the best opportunity for children. A paper was circulated recently where several issues were listed for both sides and comments were invited. It was noted we need to have the best opportunity and to avoid escalation for those children to high cost placements. From April 2020 the fund will remain at £150,000, with £50,000 coming from the high needs block
5% of the block allocation can be retained centrally and budgets will be virtually the same as previous year as set out in paragraph 7.2. This equates to 1.33% .
Comparison rates are set out in Table 4, page 32, and Reading’s 3 & 4 year old rate is much higher than neighbouring authorities. Hampshire hourly rate is £4.06.
== Data records from another source follow ==
+++
# 1
117
Properties=species:S:1:pos:R:3 method="wB97M-V/def2-TZVPD" homo_energy_ev=-3.0 total_charge=-2 homo_lumo_gap_ha=0.2436
Rb -0.658 0.904 -1.099
N 1.167 3.215 -2.502
C 2.483 3.606 -2.976
C 3.295 2.406 -3.470
N 3.274 1.300 -2.534
C 3.885 1.534 -1.241
C 3.575 0.378 -0.293
N 2.189 0.413 0.147
H 0.756 3.964 -1.951
H 0.556 3.023 -3.287
H 2.453 4.332 -3.803
H 3.012 4.088 -2.151
H 2.848 2.046 -4.402
H 4.317 2.759 -3.702
H 3.670 0.471 -2.959
H 4.980 1.674 -1.311
H 3.463 2.444 -0.809
H 3.749 -0.563 -0.825
H 4.291 0.416 0.542
H 1.850 -0.515 0.402
H 2.095 1.014 0.956
C -0.251 2.387 4.161
C 0.872 1.923 4.847
C 1.358 0.668 4.573
C 0.694 -0.145 3.623
N -0.317 0.352 2.888
C -0.773 1.573 3.174
N 0.975 -1.468 3.626
C 0.887 -2.371 2.702
N 0.952 -2.289 1.353
C 0.878 -3.565 0.863
N 0.957 -4.068 -0.323
C 1.180 -3.374 -1.499
C 1.393 -4.176 -2.634
C 1.699 -3.585 -3.839
C 1.772 -2.202 -3.903
C 1.502 -1.482 -2.752
N 1.219 -2.041 -1.574
C 0.728 -4.543 1.988
C 0.619 -5.918 2.025
C 0.512 -6.524 3.275
C 0.517 -5.763 4.443
C 0.638 -4.377 4.389
C 0.747 -3.793 3.144
H -0.698 3.345 4.385
H 1.345 2.540 5.603
H 2.208 0.260 5.103
H -1.603 1.922 2.565
H 1.325 -5.250 -2.523
H 1.862 -4.187 -4.726
H 2.001 -1.688 -4.828
H 1.537 -0.399 -2.749
H 0.614 -6.495 1.109
H 0.425 -7.603 3.341
H 0.428 -6.260 5.403
H 0.649 -3.766 5.284
O -3.062 2.508 -1.454
S -2.294 3.670 -0.945
N -1.858 3.573 0.473
Cl -1.484 -2.268 -4.359
C -0.908 -0.963 -5.387
C -0.958 0.337 -4.903
C -0.510 1.274 -5.817
Cl -0.683 2.988 -5.413
C 0.038 0.984 -7.066
Cl 0.683 2.224 -8.107
C 0.075 -0.341 -7.487
Cl 0.730 -0.755 -9.038
C -0.437 -1.327 -6.647
Cl -0.450 -2.980 -7.196
C -0.164 5.167 2.168
S 0.258 4.153 0.728
O 0.272 5.100 -0.435
C 2.084 4.242 1.159
C 2.607 3.309 2.046
C 3.972 3.256 2.293
C 4.827 4.136 1.640
C 4.309 5.064 0.747
C 2.941 5.114 0.506
H 0.236 6.157 1.953
H 0.304 4.746 3.056
H -1.247 5.189 2.257
H 1.942 2.617 2.550
H 4.367 2.520 2.984
H 5.895 4.091 1.820
H 4.975 5.747 0.231
H 2.519 5.813 -0.206
C -2.997 -1.787 4.302
C -3.970 -1.077 3.367
C -4.397 0.263 3.982
C -5.204 -1.952 3.140
N -3.289 -0.915 2.081
N -4.043 -0.123 1.165
H -3.502 -2.086 5.224
H -2.159 -1.139 4.562
H -2.591 -2.677 3.817
H -4.890 0.110 4.945
H -5.092 0.774 3.313
H -3.524 0.902 4.135
H -5.792 -2.041 4.058
H -4.896 -2.947 2.815
H -5.822 -1.509 2.359
H -2.347 -0.557 2.219
H -3.784 -0.406 0.224
H -3.813 0.868 1.228
C -2.650 -3.200 -0.764
C -3.324 -2.239 -1.682
N -3.155 -0.941 -1.687
C -3.933 -0.440 -2.704
C -4.599 -1.456 -3.313
N -4.211 -2.601 -2.646
H -2.237 -2.650 0.080
H -1.828 -3.712 -1.272
H -3.351 -3.947 -0.387
H -3.955 0.617 -2.911
H -5.273 -1.480 -4.151
H -4.456 -3.541 -2.899

# 2
56
Properties=species:S:1:pos:R:3 method="wB97M-V/def2-TZVPD" s2=0.7593 homo_energy_ev="-7.3 / -7.2" multiplicity=2 homo_lumo_gap_ha="0.2852 / 0.2496"
Ag 0.738 -0.590 -0.916
C 2.597 -2.631 -0.681
O 1.453 -2.595 -0.127
O 2.824 -1.677 -1.538
O 3.474 -3.516 -0.607
C -2.588 -2.293 -3.528
C -1.864 -1.627 -2.354
C -2.069 -2.415 -1.062
O -1.510 -1.684 0.036
+++
EYPP claims for our nursery classes is extremely low so there are probably children that are not being claimed for. Parents have to fill the forms out. Decreased in general so all primary schools are finding the same issue.
Action: to contact early years who will come and sit with them and go through it.
Repot is noted.
The centrally retained early years budget for 2020/21 approved unanimously.
Noted maintained nursery grant will be allocated as per usual method, with no change.
Item 6 – High Needs Budget 2020/21 – Schools/DSG Business Partner
High needs block currently in deficit. We are legally obliged to fund top ups and the numbers of pupils with EHC plans continue to grow. Other issues creating pressures are above inflation increases by external providers – some have been known to implement 20% increase and although there are discussions taking place there is little we can do. Increases have been at a much greater cost than the funding we received in previous years. For 2020/21 we have been given a much larger increase, and the Government is hoping that the funding will help decrease deficits. The LA is responsible for deciding the High needs budget.
High Needs Block funding is increasing by just under £2m to £22.5m, the break down is on page 36 table 1.
The Academy recoupment of place funding takes into account that Phoenix College transferred to an academy on 1st January and assumption is Cranbury will be transferring on the 1st April 2020.
Page 36 section 4 sets out the budget in detail, comparing the 2019/20 budget and forecast, to the proposed budget for 2020/21.
Place funding – 5 additional resource unit places are built in to the budget
Top ups – 90 additional places built in and the way it’s been calculated is set out from page 39, section 7.
Mainstream school increase has been about 15% and we expect that to continue as we want children to be included. In order to be able to support schools with pupils with EHCPs need to look at the banding.
Overall increase in top up rates built into budget at 2%. Do not have any control with out of county. Some LAs do not have a deficit recovery plan and will be able to afford for their schools to have higher increases to their rates.
Updated deficit recovery plan assumptions set out on Page 41 – paragraph 9.4. Assume income to increase at £2m for the following two years, although the government has not yet stated what the split will be between the schools and high needs. Underspend in other blocks will not go to pay off the deficit. Non top up costs will remain static. Number of top up year on year will continue to increase at current rate.
The deficit recovery is shown in table 3 page 42. Forecast for the current year is increase deficit by £233,000 add to b/f from previous year will be a c/f of £2.478m deficit.
Next year a slight surplus of £303,000 is forecast being used to go toward the deficit. Now the overspend in the current year is built into the base, and if the increases to funding continue, the deficit could be paid off in 2022/23.
Concern from schools’ point of view seeing more and more children in first stage with severe communication needs as well as a lot of adult support and how will this keep the figures down. They are year ones and twos and two were excluded this week for their behaviours.
Who oversees the speech and language contracts? it is noted that BFfC has a team that looks after contracts, Corinne Dishington said it is a shared contract with the CCG.
It was mentioned that speech and language is not being shared between the schools. No Whitley schools get any support.
Action Corinne Dishington to find out what’s in the contract.
Noted high needs funding and budget for next year, and the current deficit recovery plan.
Item 7 – SEND Update (presentation) – Head of SEND
Kate Reynolds joined the meeting at 18.24. No report available as Deborah Hunter not in attendance.
Kate Reynolds reiterated that SEND Is important to every member here. It was noted that there were concerns to be raised but did not have the chance to ask questions on this occasion. Health and safety liability is personal not corporate.
Item 8 – School Forum Meetings 2020/21 – Schools/DSG Business Partner
This is a Statutory and public meeting that is required to meet a minimum of 4 times a year. Proposing to have the same number of meeting this coming year.
Proposal approved – scheduled to tie in with budget setting and timings seem to have worked well in the last year. Keep the dates much the same. Thursdays.
Starting at 5.00pm is agreed to continue
Item 9 – Agenda Items For Next Meeting
The next meeting will be held on June 25, 2020 at the Civic Centre Council Chamber.
Agenda items noted.
Item 10 – Any Other Business
Recent fire in Tilehurst – does anybody know what was burning as there were repercussions to the staff and children in some of the schools that were in proximity. Headaches for two days and dizziness and metallic taste also for two days.
Action: Kate Reynolds to speak to the health and safety team.
Back in December’s meeting a discussion took place about the growth fund 3-year plan. Kendrick school want to discuss with BFFC their expansion plans as many of their additional children will be coming from Reading itself – what is the process and how can Kendrick claim for that money for growth funding. Kate Reynolds is in discussions with the head at Kendrick. Claire White clarified that when the growth fund budget is set it states the number of bulge classes in the plan but does not identify specific schools. The funding is available for any school that meets the criteria set by the Schools’ Forum.
Justin McMinn would like it noted that her business manager appreciated the budget information earlier this year and this has really helped.
The meeting closed at 18.36